# Given
<<<
HfMo2O8 after structural relaxation. Source: the Materials Project, functional PBE+U.

Structure (POSCAR):
```
HfMo2O8
1.0
3.601 -2.703 -10.299
4.137 -5.201 8.305
-8.433 -5.615 -2.934
O Mo Hf
48 12 6
Cartesian
2.749 -4.201 4.789 O
0.059 -3.225 2.350 O
1.132 -2.960 -0.397 O
-0.295 -9.119 -0.282 O
-0.581 -11.700 -1.790 O
-2.234 -10.407 1.210 O
2.698 -8.213 -1.123 O
-1.097 -7.587 -4.426 O
1.540 -3.112 -6.138 O
3.823 -5.282 -4.952 O
-2.617 -9.743 -1.885 O
3.778 -6.060 2.722 O
0.208 -5.108 4.112 O
-5.093 -6.947 -2.039 O
-4.517 -8.238 0.024 O
-3.443 -9.319 -9.716 O
-1.852 -4.720 0.992 O
4.399 -6.572 -2.888 O
-0.113 -1.820 -3.138 O
-1.826 -10.560 -4.531 O
-0.902 -8.411 -9.040 O
-1.048 -8.894 3.373 O
0.644 -11.498 -5.318 O
2.776 -8.092 1.624 O
-2.220 -7.013 -1.706 O
-0.399 -4.400 -4.646 O
-1.338 -2.021 0.391 O
-2.323 -5.814 -9.084 O
-3.470 -5.428 -6.552 O
1.343 -6.067 6.355 O
-0.831 -4.049 -1.876 O
-3.468 -8.337 -4.040 O
0.137 -9.470 -3.051 O
-0.753 -10.295 -7.277 O
0.354 -4.625 -8.301 O
-5.522 -6.610 -4.645 O
0.403 -5.933 -0.502 O
-2.037 -7.452 -11.283 O
-4.472 -7.459 -7.650 O
2.774 -5.182 -0.888 O
1.227 -6.193 -6.560 O
-1.921 -7.326 1.632 O
-3.392 -5.306 -3.805 O
1.158 -8.799 -5.920 O
4.828 -6.909 -0.283 O
1.526 -6.506 -3.222 O
1.923 -3.776 -3.043 O
1.629 -7.705 4.156 O
-2.701 -7.554 3.462 Mo
-5.409 -6.446 0.007 Mo
0.196 -10.990 -0.234 Mo
2.007 -5.965 -8.390 Mo
4.715 -7.074 -4.934 Mo
2.906 -6.680 -1.934 Mo
-5.087 -5.290 -5.702 Mo
-3.601 -6.839 -2.994 Mo
-0.890 -2.529 -4.694 Mo
0.978 -4.305 -1.439 Mo
4.393 -8.230 0.774 Mo
-1.672 -9.215 -3.489 Mo
-1.374 -2.090 -1.529 Hf
-3.682 -9.970 -0.164 Hf
0.680 -11.429 -3.399 Hf
0.319 -6.295 -4.857 Hf
-1.013 -7.225 -0.071 Hf
2.988 -3.549 -4.764 Hf
```

Space group ... C2/c
Calculated volume ... 16.2 Å³ per atom
E_tot ... -7.6265 eV/atom
Energy of formation from the pure elements ... -2.233 eV/atom


HfMo2O8 after structural relaxation. Source: the Materials Project, functional PBE+U.

Structure (POSCAR):
```
HfMo2O8
1.0
5.118 -8.865 0.000
5.118 8.865 0.000
0.000 0.000 12.063
Mo O Hf
12 48 6
Cartesian
1.770 -2.932 10.292 Mo
6.812 -0.067 10.292 Mo
3.464 5.866 1.771 Mo
6.772 -5.866 10.292 Mo
6.812 0.067 4.261 Mo
3.464 -5.866 7.802 Mo
8.466 -2.932 7.802 Mo
6.772 5.866 4.261 Mo
1.770 2.932 4.261 Mo
3.424 -0.067 7.802 Mo
3.424 0.067 1.771 Mo
8.466 2.932 1.771 Mo
5.929 -1.439 11.101 O
1.948 -2.853 8.569 O
5.992 -1.504 4.642 O
9.345 -1.455 1.181 O
5.938 -4.437 4.642 O
5.932 -7.365 4.850 O
4.298 -4.437 1.390 O
3.621 -5.751 9.526 O
6.811 -2.924 1.390 O
3.621 5.751 3.494 O
5.992 1.504 10.674 O
9.345 1.455 7.213 O
6.615 5.751 2.537 O
5.938 4.437 10.674 O
4.211 -4.415 6.994 O
3.445 0.260 3.494 O
6.836 3.010 0.963 O
6.791 -0.260 8.569 O
4.304 -7.365 1.181 O
4.244 -1.504 1.390 O
4.244 1.504 7.421 O
0.891 1.455 10.882 O
3.425 2.924 10.674 O
1.948 2.853 2.537 O
3.400 -3.010 11.101 O
1.706 0.045 7.213 O
6.791 0.260 2.537 O
4.211 4.415 0.963 O
4.304 7.365 7.213 O
3.445 -0.260 9.526 O
6.811 2.924 7.421 O
5.932 7.365 10.882 O
3.400 3.010 5.069 O
4.298 4.437 7.421 O
6.836 -3.010 6.994 O
0.891 -1.455 4.850 O
8.288 2.853 3.494 O
1.706 -0.045 1.181 O
4.307 -1.439 6.994 O
8.530 -0.045 4.850 O
4.307 1.439 0.963 O
5.929 1.439 5.069 O
8.288 -2.853 9.526 O
6.025 4.415 5.069 O
8.530 0.045 10.882 O
6.025 -4.415 11.101 O
3.425 -2.924 4.642 O
6.615 -5.751 8.569 O
0.000 0.000 6.032 Hf
5.118 2.955 6.223 Hf
5.118 -2.955 5.840 Hf
5.118 2.955 11.872 Hf
5.118 -2.955 0.191 Hf
0.000 0.000 0.000 Hf
```

Space group ... P-31c
Calculated volume ... 16.6 Å³ per atom
E_tot ... -7.9136 eV/atom
Energy of formation from the pure elements ... -2.520 eV/atom

----------

(1)
LiB12PC | PBE | relaxed

abc: 7.1266 7.1266 7.1266
angles: 132.22 110.34 88.89
Fractional coordinates of all 30 atoms:
Li: 0.0672 0.2500 0.3172
Li: 0.9328 0.7500 0.6828
B: 0.0969 0.2754 0.9972
B: 0.0969 0.5998 0.3215
B: 0.1156 0.3359 0.7951
B: 0.1156 0.8205 0.2797
B: 0.1321 0.6659 0.9663
B: 0.2460 0.5867 0.1593
B: 0.2783 0.0998 0.0028
B: 0.2783 0.7754 0.6785
>>>

# Wanted
It remains to copy all of the entries further up verbatim.

# Outcome
HfMo2O8 after structural relaxation. Source: the Materials Project, functional PBE+U.

Structure (POSCAR):
```
HfMo2O8
1.0
3.601 -2.703 -10.299
4.137 -5.201 8.305
-8.433 -5.615 -2.934
O Mo Hf
48 12 6
Cartesian
2.749 -4.201 4.789 O
0.059 -3.225 2.350 O
1.132 -2.960 -0.397 O
-0.295 -9.119 -0.282 O
-0.581 -11.700 -1.790 O
-2.234 -10.407 1.210 O
2.698 -8.213 -1.123 O
-1.097 -7.587 -4.426 O
1.540 -3.112 -6.138 O
3.823 -5.282 -4.952 O
-2.617 -9.743 -1.885 O
3.778 -6.060 2.722 O
0.208 -5.108 4.112 O
-5.093 -6.947 -2.039 O
-4.517 -8.238 0.024 O
-3.443 -9.319 -9.716 O
-1.852 -4.720 0.992 O
4.399 -6.572 -2.888 O
-0.113 -1.820 -3.138 O
-1.826 -10.560 -4.531 O
-0.902 -8.411 -9.040 O
-1.048 -8.894 3.373 O
0.644 -11.498 -5.318 O
2.776 -8.092 1.624 O
-2.220 -7.013 -1.706 O
-0.399 -4.400 -4.646 O
-1.338 -2.021 0.391 O
-2.323 -5.814 -9.084 O
-3.470 -5.428 -6.552 O
1.343 -6.067 6.355 O
-0.831 -4.049 -1.876 O
-3.468 -8.337 -4.040 O
0.137 -9.470 -3.051 O
-0.753 -10.295 -7.277 O
0.354 -4.625 -8.301 O
-5.522 -6.610 -4.645 O
0.403 -5.933 -0.502 O
-2.037 -7.452 -11.283 O
-4.472 -7.459 -7.650 O
2.774 -5.182 -0.888 O
1.227 -6.193 -6.560 O
-1.921 -7.326 1.632 O
-3.392 -5.306 -3.805 O
1.158 -8.799 -5.920 O
4.828 -6.909 -0.283 O
1.526 -6.506 -3.222 O
1.923 -3.776 -3.043 O
1.629 -7.705 4.156 O
-2.701 -7.554 3.462 Mo
-5.409 -6.446 0.007 Mo
0.196 -10.990 -0.234 Mo
2.007 -5.965 -8.390 Mo
4.715 -7.074 -4.934 Mo
2.906 -6.680 -1.934 Mo
-5.087 -5.290 -5.702 Mo
-3.601 -6.839 -2.994 Mo
-0.890 -2.529 -4.694 Mo
0.978 -4.305 -1.439 Mo
4.393 -8.230 0.774 Mo
-1.672 -9.215 -3.489 Mo
-1.374 -2.090 -1.529 Hf
-3.682 -9.970 -0.164 Hf
0.680 -11.429 -3.399 Hf
0.319 -6.295 -4.857 Hf
-1.013 -7.225 -0.071 Hf
2.988 -3.549 -4.764 Hf
```

Space group ... C2/c
Calculated volume ... 16.2 Å³ per atom
E_tot ... -7.6265 eV/atom
Energy of formation from the pure elements ... -2.233 eV/atom


HfMo2O8 after structural relaxation. Source: the Materials Project, functional PBE+U.

Structure (POSCAR):
```
HfMo2O8
1.0
5.118 -8.865 0.000
5.118 8.865 0.000
0.000 0.000 12.063
Mo O Hf
12 48 6
Cartesian
1.770 -2.932 10.292 Mo
6.812 -0.067 10.292 Mo
3.464 5.866 1.771 Mo
6.772 -5.866 10.292 Mo
6.812 0.067 4.261 Mo
3.464 -5.866 7.802 Mo
8.466 -2.932 7.802 Mo
6.772 5.866 4.261 Mo
1.770 2.932 4.261 Mo
3.424 -0.067 7.802 Mo
3.424 0.067 1.771 Mo
8.466 2.932 1.771 Mo
5.929 -1.439 11.101 O
1.948 -2.853 8.569 O
5.992 -1.504 4.642 O
9.345 -1.455 1.181 O
5.938 -4.437 4.642 O
5.932 -7.365 4.850 O
4.298 -4.437 1.390 O
3.621 -5.751 9.526 O
6.811 -2.924 1.390 O
3.621 5.751 3.494 O
5.992 1.504 10.674 O
9.345 1.455 7.213 O
6.615 5.751 2.537 O
5.938 4.437 10.674 O
4.211 -4.415 6.994 O
3.445 0.260 3.494 O
6.836 3.010 0.963 O
6.791 -0.260 8.569 O
4.304 -7.365 1.181 O
4.244 -1.504 1.390 O
4.244 1.504 7.421 O
0.891 1.455 10.882 O
3.425 2.924 10.674 O
1.948 2.853 2.537 O
3.400 -3.010 11.101 O
1.706 0.045 7.213 O
6.791 0.260 2.537 O
4.211 4.415 0.963 O
4.304 7.365 7.213 O
3.445 -0.260 9.526 O
6.811 2.924 7.421 O
5.932 7.365 10.882 O
3.400 3.010 5.069 O
4.298 4.437 7.421 O
6.836 -3.010 6.994 O
0.891 -1.455 4.850 O
8.288 2.853 3.494 O
1.706 -0.045 1.181 O
4.307 -1.439 6.994 O
8.530 -0.045 4.850 O
4.307 1.439 0.963 O
5.929 1.439 5.069 O
8.288 -2.853 9.526 O
6.025 4.415 5.069 O
8.530 0.045 10.882 O
6.025 -4.415 11.101 O
3.425 -2.924 4.642 O
6.615 -5.751 8.569 O
0.000 0.000 6.032 Hf
5.118 2.955 6.223 Hf
5.118 -2.955 5.840 Hf
5.118 2.955 11.872 Hf
5.118 -2.955 0.191 Hf
0.000 0.000 0.000 Hf
```

Space group ... P-31c
Calculated volume ... 16.6 Å³ per atom
E_tot ... -7.9136 eV/atom
Energy of formation from the pure elements ... -2.520 eV/atom

----------

(1)
LiB12PC | PBE | relaxed

abc: 7.1266 7.1266 7.1266
angles: 132.22 110.34 88.89
Fractional coordinates of all 30 atoms:
Li: 0.0672 0.2500 0.3172
Li: 0.9328 0.7500 0.6828
B: 0.0969 0.2754 0.9972
B: 0.0969 0.5998 0.3215
B: 0.1156 0.3359 0.7951
B: 0.1156 0.8205 0.2797
B: 0.1321 0.6659 0.9663
B: 0.2460 0.5867 0.1593
B: 0.2783 0.0998 0.0028
B: 0.2783 0.7754 0.6785